== To do ==
The reader should start at the top of the lines underneath and reproduce each line, ending with the one that has "-0.716".

== Material ==
____________
3 unconnected molecules or ions with the total composition C13H28B3Br4IO4, computed with ωB97M-V/def2-TZVPD.

E_tot: -312433.45659 eV
SMILES string: CCCB1OB(I)OB(CCCCCOC)O1.BrCCBr.BrCCBr
Gap between HOMO and LUMO: 10.076 eV
Spin multiplicity: 1

Element x y z (Å)
C: 6.394 0.594 1.750
C: 5.363 1.175 0.765
C: 4.004 1.473 1.413
B: 2.975 2.178 0.482
O: 3.211 2.328 -0.888
B: 2.109 2.479 -1.680
I: 2.287 3.247 -3.658
O: 0.868 2.215 -1.163
B: 0.677 2.751 0.117
C: -0.660 3.432 0.530
C: -1.056 3.292 2.016
C: -2.180 2.283 2.381
C: -2.811 1.429 1.281
C: -1.904 0.305 0.794
O: -2.356 -0.265 -0.419
C: -1.768 0.295 -1.573
O: 1.772 2.687 0.962
H: 6.069 0.716 2.786
H: 7.372 1.066 1.644
H: 6.541 -0.477 1.588
H: 5.759 2.088 0.313
H: 5.215 0.471 -0.057
H: 3.561 0.539 1.784
H: 4.154 2.113 2.292
H: -1.446 3.127 -0.161
H: -0.490 4.498 0.318
H: -0.158 3.031 2.583
H: -1.351 4.275 2.391
H: -1.797 1.600 3.148
H: -2.988 2.832 2.873
H: -3.148 2.017 0.422
H: -3.717 0.974 1.694
H: -1.890 -0.513 1.520
H: -0.868 0.654 0.689
H: -2.264 -0.153 -2.436
H: -0.697 0.072 -1.621
H: -1.902 1.381 -1.628
Br: 1.013 -2.882 -0.235
C: -0.266 -2.949 -1.697
C: 0.418 -2.975 -3.042
Br: 1.123 -1.218 -3.480
H: -0.907 -2.084 -1.578
H: -0.849 -3.853 -1.537
H: -0.297 -3.213 -3.826
H: 1.248 -3.672 -3.075
Br: -2.886 -5.957 0.782
C: -4.548 -5.423 -0.070
C: -4.296 -4.557 -1.276
Br: -3.740 -2.764 -0.778
H: -5.134 -4.909 0.684
H: -5.048 -6.345 -0.360
H: -5.204 -4.442 -1.863
H: -3.509 -4.968 -1.901

***

A molecular structure, C13H28Br6O2P, computed with ωB97M-V/def2-TZVPD.

E_tot: -447557.06840 eV
Gap between HOMO and LUMO: 8.471 eV
Energy above the lowest of the compared OMol25 structures with the same formula, charge and spin: 612.7 kJ/mol
Spin multiplicity: 1
Total charge: +1

Element x y z (Å)
C: 2.179 -1.636 -0.244
P: 1.737 0.252 -0.430
C: -0.057 0.399 0.315
C: -0.648 1.928 0.277
C: -2.023 1.985 -0.665
C: -3.199 0.928 -0.119
O: -3.559 0.069 -1.271
C: -3.211 -1.339 -1.023
C: -3.732 -2.268 0.223
O: -2.331 -1.904 -1.896
H: 2.360 -1.814 0.922
H: 3.095 -1.955 -0.897
H: 1.182 -2.206 -0.552
H: 1.679 0.499 -1.855
H: 2.679 1.117 0.237
H: 0.043 -0.056 1.411
H: -0.699 -0.370 -0.293
H: 0.153 2.731 -0.028
H: -1.022 2.174 1.380
H: -1.803 1.710 -1.800
H: -2.529 3.060 -0.590
H: -4.178 1.567 0.118
H: -2.820 0.342 0.821
H: -3.344 -3.372 0.057
H: -3.300 -1.907 1.253
H: -4.912 -2.337 0.196
Br: 2.719 -4.857 0.501
C: 4.366 -5.123 1.514
C: 4.709 -3.899 2.330
Br: 5.468 -2.493 1.211
H: 5.142 -5.397 0.794
H: 4.163 -5.977 2.165
H: 5.487 -4.130 3.063
H: 3.848 -3.466 2.847
Br: -6.976 2.307 -0.179
C: -7.240 3.946 0.846
C: -6.206 4.987 0.488
Br: -4.486 4.588 1.319
H: -7.228 3.667 1.903
H: -8.243 4.290 0.577
H: -6.491 5.966 0.883
H: -6.028 5.072 -0.588
Br: 5.808 2.502 -2.557
C: 6.298 0.779 -1.783
C: 5.245 -0.266 -2.065
Br: 3.693 -0.037 -0.906
H: 6.469 0.946 -0.716
H: 7.244 0.513 -2.260
H: 5.624 -1.267 -1.838
H: 4.879 -0.247 -3.096

***

2 unconnected molecules or ions with the total composition C13H28ClO5PS, computed with ωB97M-V/def2-TZVPD.

E_tot: -56818.11713 eV
Gap between HOMO and LUMO: 6.624 eV
Energy above the lowest of the compared OMol25 structures with the same formula, charge and spin: 28.0 kJ/mol
Spin multiplicity: 1

Element x y z (Å)
C: -2.521 4.897 3.943
O: -2.636 3.705 4.683
C: -3.556 2.801 4.100
C: -3.432 1.456 4.784
C: -2.201 0.646 4.378
C: -2.067 0.451 2.860
C: -1.356 -0.856 2.457
C: -0.221 -0.609 1.455
C: 0.266 -1.895 0.794
C: 1.642 -1.765 0.126
C: 1.859 -0.431 -0.595
C: 2.987 -0.473 -1.627
C: 2.854 -1.485 -2.779
S: 1.127 -1.918 -3.163
P: 1.138 -1.262 -5.391
O: 0.161 0.016 -5.308
Cl: -0.139 -2.669 -6.112
H: -2.084 5.659 4.585
H: -1.868 4.764 3.071
H: -3.496 5.243 3.584
H: -4.576 3.186 4.245
H: -3.396 2.746 3.016
H: -3.416 1.643 5.860
H: -4.328 0.870 4.561
H: -2.267 -0.340 4.847
H: -1.302 1.114 4.783
H: -1.489 1.290 2.464
H: -3.059 0.504 2.406
H: -2.084 -1.486 1.937
H: -0.977 -1.389 3.330
H: 0.595 -0.115 1.995
H: -0.591 0.112 0.722
H: -0.473 -2.200 0.045
H: 0.303 -2.677 1.555
H: 2.383 -1.826 0.929
____________

== Response ==
3 unconnected molecules or ions with the total composition C13H28B3Br4IO4, computed with ωB97M-V/def2-TZVPD.

E_tot: -312433.45659 eV
SMILES string: CCCB1OB(I)OB(CCCCCOC)O1.BrCCBr.BrCCBr
Gap between HOMO and LUMO: 10.076 eV
Spin multiplicity: 1

Element x y z (Å)
C: 6.394 0.594 1.750
C: 5.363 1.175 0.765
C: 4.004 1.473 1.413
B: 2.975 2.178 0.482
O: 3.211 2.328 -0.888
B: 2.109 2.479 -1.680
I: 2.287 3.247 -3.658
O: 0.868 2.215 -1.163
B: 0.677 2.751 0.117
C: -0.660 3.432 0.530
C: -1.056 3.292 2.016
C: -2.180 2.283 2.381
C: -2.811 1.429 1.281
C: -1.904 0.305 0.794
O: -2.356 -0.265 -0.419
C: -1.768 0.295 -1.573
O: 1.772 2.687 0.962
H: 6.069 0.716 2.786
H: 7.372 1.066 1.644
H: 6.541 -0.477 1.588
H: 5.759 2.088 0.313
H: 5.215 0.471 -0.057
H: 3.561 0.539 1.784
H: 4.154 2.113 2.292
H: -1.446 3.127 -0.161
H: -0.490 4.498 0.318
H: -0.158 3.031 2.583
H: -1.351 4.275 2.391
H: -1.797 1.600 3.148
H: -2.988 2.832 2.873
H: -3.148 2.017 0.422
H: -3.717 0.974 1.694
H: -1.890 -0.513 1.520
H: -0.868 0.654 0.689
H: -2.264 -0.153 -2.436
H: -0.697 0.072 -1.621
H: -1.902 1.381 -1.628
Br: 1.013 -2.882 -0.235
C: -0.266 -2.949 -1.697
C: 0.418 -2.975 -3.042
Br: 1.123 -1.218 -3.480
H: -0.907 -2.084 -1.578
H: -0.849 -3.853 -1.537
H: -0.297 -3.213 -3.826
H: 1.248 -3.672 -3.075
Br: -2.886 -5.957 0.782
C: -4.548 -5.423 -0.070
C: -4.296 -4.557 -1.276
Br: -3.740 -2.764 -0.778
H: -5.134 -4.909 0.684
H: -5.048 -6.345 -0.360
H: -5.204 -4.442 -1.863
H: -3.509 -4.968 -1.901

***

A molecular structure, C13H28Br6O2P, computed with ωB97M-V/def2-TZVPD.

E_tot: -447557.06840 eV
Gap between HOMO and LUMO: 8.471 eV
Energy above the lowest of the compared OMol25 structures with the same formula, charge and spin: 612.7 kJ/mol
Spin multiplicity: 1
Total charge: +1

Element x y z (Å)
C: 2.179 -1.636 -0.244
P: 1.737 0.252 -0.430
C: -0.057 0.399 0.315
C: -0.648 1.928 0.277
C: -2.023 1.985 -0.665
C: -3.199 0.928 -0.119
O: -3.559 0.069 -1.271
C: -3.211 -1.339 -1.023
C: -3.732 -2.268 0.223
O: -2.331 -1.904 -1.896
H: 2.360 -1.814 0.922
H: 3.095 -1.955 -0.897
H: 1.182 -2.206 -0.552
H: 1.679 0.499 -1.855
H: 2.679 1.117 0.237
H: 0.043 -0.056 1.411
H: -0.699 -0.370 -0.293
H: 0.153 2.731 -0.028
H: -1.022 2.174 1.380
H: -1.803 1.710 -1.800
H: -2.529 3.060 -0.590
H: -4.178 1.567 0.118
H: -2.820 0.342 0.821
H: -3.344 -3.372 0.057
H: -3.300 -1.907 1.253
H: -4.912 -2.337 0.196
Br: 2.719 -4.857 0.501
C: 4.366 -5.123 1.514
C: 4.709 -3.899 2.330
Br: 5.468 -2.493 1.211
H: 5.142 -5.397 0.794
H: 4.163 -5.977 2.165
H: 5.487 -4.130 3.063
H: 3.848 -3.466 2.847
Br: -6.976 2.307 -0.179
C: -7.240 3.946 0.846
C: -6.206 4.987 0.488
Br: -4.486 4.588 1.319
H: -7.228 3.667 1.903
H: -8.243 4.290 0.577
H: -6.491 5.966 0.883
H: -6.028 5.072 -0.588
Br: 5.808 2.502 -2.557
C: 6.298 0.779 -1.783
C: 5.245 -0.266 -2.065
Br: 3.693 -0.037 -0.906
H: 6.469 0.946 -0.716